_Input_
BaMg2HgF8: simulated powder diffractogram (Cu Kα), based on a crystal structure in Alexandria, relaxed with PBE.
Lines closer than 0.1° are merged.

Unit cell a=5.285 b=6.791 c=5.308 alpha=90.00 beta=90.72 gamma=90.00
Sites, in units of the cell vectors:
Ba: 0.000 0.000 0.000
Mg: 0.500 0.258 0.500
Mg: 0.500 0.742 0.500
Hg: 0.000 0.500 0.000
F: 0.233 0.273 0.238
F: 0.233 0.727 0.238
F: 0.323 0.500 0.680
F: 0.341 0.000 0.663
F: 0.659 0.000 0.337
F: 0.677 0.500 0.320
F: 0.767 0.273 0.762
F: 0.767 0.727 0.762

The 6 most intense peaks (5° ≤ 2θ ≤ 70°), in order of rising 2θ:
- 2θ = 16.7°, intensity 100
- 2θ = 23.6°, intensity 69
- 2θ = 23.9°, intensity 55
- 2θ = 31.3°, intensity 86
- 2θ = 35.8°, intensity 50
- 2θ = 46.6°, intensity 51

----------

Ac3PrCd4: theoretical X-ray diffraction stick pattern (a wavelength of 1.5418 Å), based on the PBE geometry in Alexandria.

Crystal structure
```
data_Ac3PrCd4
_chemical_formula_sum 'Ac3 Pr1 Cd4'
_space_group_name_H-M_alt 'P 4/m m m'
_space_group_IT_number 123
_space_group_name_Hall '-P 4 2'
_cell_length_a 4.0319
_cell_length_b 4.0319
_cell_length_c 16.1055
_cell_angle_alpha 90.00
_cell_angle_beta 90.00
_cell_angle_gamma 90.00
loop_
_atom_site_label
_atom_site_fract_x
_atom_site_fract_y
_atom_site_fract_z
Ac1 0.0000 0.0000 0.0000
Ac2 0.0000 0.0000 0.2573
Pr1 0.0000 0.0000 0.5000
Cd1 0.5000 0.5000 0.1280
Cd2 0.5000 0.5000 0.3888
```

Largest 10 diffraction maxima, sorted by position, 2θ = 10–90°:
2θ/deg, I/Imax
22.1, 9
31.4, 100
38.7, 3
45.0, 18
50.7, 5
55.9, 37
65.5, 11
74.4, 11
74.5, 4
83.0, 4

_Brief_
Now restate every line further above that contains the word "alpha".

_Done_
Unit cell a=5.285 b=6.791 c=5.308 alpha=90.00 beta=90.72 gamma=90.00